Gender separation at Orthodox events must not be deemed discrimination by law, religious parties demand

The measure is intended to allow the ultra-Orthodox and religious public to hold events and studies in accordance with their lifestyle, not to impose on the general public.

By World Israel News Staff

A new demand by the Religious Zionism and United Torah Judaism parties in the ongoing coalition negotiations with Prime Minister Benjamin Netanyahu’s Likud party is that a separation of sexes at religious and ultra-Orthodox public events not be considered discrimination by law, Hebrew-language Israel Hayom reported Sunday.

Inserted here: calculated molecules:
/*
[1]
The following is a quantum chemistry calculation of a single C7H10NOP molecule, from the OMol25 dataset.

Each line ends with the natural charge from an NBO analysis.
Cartesian coordinates (Å):
C -0.9130 -2.8354 -0.8672  -0.12
C -1.0194 -1.6553 -1.0512  -0.45
C 1.7909 0.5801 -0.7639  -0.22
C 0.6599 0.7590 -1.4686  -0.49
C 3.3043 0.1211 1.0783  -0.32
C 2.0679 -0.0284 0.5273  -0.24
C -2.6874 0.6956 1.1047  -0.42
N -1.3790 0.6911 0.4868  -0.94
O -2.1817 0.7700 -1.9117  -1.06
P -1.1696 0.1130 -1.1149  2.00
H -0.9718 -3.8468 -0.7459  0.23
H 2.7045 0.7760 -1.3492  0.21
H 0.5931 1.2743 -2.4728  0.24
H 3.4874 -0.3079 1.9760  0.19
H 4.1894 0.6986 0.6242  0.20
H 1.2239 -0.3807 1.0938  0.20
H -2.8922 1.7312 1.5266  0.20
H -3.4121 0.2818 0.3579  0.22
H -2.7766 -0.0167 1.9225  0.18
H -0.6185 0.5795 1.0473  0.38

Computed properties:
frontier orbital gap	9.3464	eV
relative energy (zero: lowest compared OMol25 entry of this formula, charge and spin)	112.11	kcal per mole
SMILES	C#C[P@](=O)(/C=C\C=C)NC

[2]
The following is a quantum chemistry calculation of a molecular structure, C45H39BaBrN9O4, from the OMol25 dataset.

Each line ends with the Mulliken charge.
Cartesian coordinates (Å):
Ba 2.2667 -11.2168 19.9828  1.33
C 1.4581 -12.3024 15.1666  -1.04
C 2.2304 -12.0609 16.3254  -0.06
N 2.0561 -12.6897 17.4392  -0.21
C 1.2382 -13.7609 17.5085  0.48
C 0.5621 -14.3081 16.3253  0.63
C 0.6758 -13.4688 15.1891  -0.63
C -0.2140 -15.5002 16.4105  -0.82
C -0.2930 -16.1907 17.6034  -0.67
C 0.2723 -15.5946 18.7658  -0.33
C 1.1887 -14.5322 18.7187  -0.61
N 1.9254 -14.1647 19.7895  0.49
C 2.7898 -15.0231 20.3973  0.12
C 2.9573 -16.3826 20.0148  -0.48
C 3.8686 -17.1827 20.6691  -0.91
C 4.7188 -16.6422 21.6364  -0.81
C 4.6180 -15.2995 22.0559  0.86
C 5.3820 -14.7134 23.1251  -0.57
C 5.3147 -13.3835 23.3601  -0.90
C 4.4244 -12.6386 22.5574  -0.32
N 3.4755 -13.1660 21.7602  0.24
C 3.6425 -14.4557 21.4370  -0.19
H 1.4984 -11.7156 14.2223  0.35
H 2.9250 -11.2400 16.2744  0.41
H 0.0731 -13.7471 14.3540  0.43
H -0.6229 -15.9449 15.4426  0.22
H -0.8816 -17.0831 17.6108  0.45
H 0.1266 -16.0501 19.7349  0.83
H 2.2453 -16.7260 19.2419  0.45
H 3.9112 -18.2179 20.4533  0.43
H 5.6052 -17.1827 22.0478  0.23
H 5.9960 -15.4047 23.7262  0.34
H 5.8864 -12.8682 24.1478  0.39
H 4.4585 -11.5738 22.6716  0.44
Br 8.7888 -1.1628 18.7031  -0.22
C 7.8336 -2.1085 17.3517  0.02
C 6.4090 -2.0508 17.2766  -0.27
C 5.7405 -2.9788 16.5028  -0.25
C 6.4918 -4.0582 15.9986  0.30
C 7.9036 -4.0304 15.9626  -0.52
C 8.5355 -2.9663 16.5620  -0.33
N 5.8897 -5.2747 15.7301  -0.63
N 4.8360 -5.4361 16.4042  0.00
C 4.6121 -6.7417 16.6753  0.03
C 5.6605 -7.6705 16.6405  -0.27
C 5.5246 -8.8841 17.1922  -0.86
C 4.3074 -9.2325 17.8514  0.33
O 4.3504 -10.3141 18.5195  -0.67
C 3.1555 -8.3914 17.6144  0.02
N 1.9592 -8.9590 17.9151  0.14
C 0.9332 -8.1034 17.8924  -0.89
C 0.9763 -6.7564 17.5411  -0.79
C 2.1561 -6.2309 16.9749  -0.69
C 3.3040 -7.0349 17.1070  0.69
H 5.9068 -1.3431 17.9233  0.38
H 4.6751 -3.0293 16.2810  0.38
*/

Sources pushing for the measure emphasize that they have no desire to bring gender segregation or the exclusion of women among the general public; rather, it would allow the ultra-Orthodox and religious public to hold events and studies in accordance with their lifestyle.

The origin of the legal issue of gender segregation, Israel Hayom explains, is the law prohibiting discrimination in products and services, which states that it is forbidden to discriminate in the provision of a public service or in the operation of a public place, among other things, due to gender.

### Unrelated to this entry: calculated molecules
+++
Formula: C49H58N8O3
Source: OMol25
Level of theory: ωB97M-V with the def2-TZVPD basis set

Cartesian coordinates (Å):
C -4.7756 -3.9293 -0.5024
C -3.4287 -4.0502 -0.1952
C -2.5425 -2.9622 -0.3950
N -3.0173 -1.7620 -0.9047
C -4.3059 -1.6616 -1.2252
C -5.2027 -2.7268 -1.0374
H -5.4637 -4.7272 -0.2736
H -3.0389 -4.9405 0.2969
H -1.4997 -3.1224 -0.2814
H -4.5521 -0.6350 -1.5710
H -6.2614 -2.5874 -1.2992
C -2.7218 2.4823 -1.5440
C -2.9560 1.2230 -2.0576
C -3.5778 1.1888 -3.3113
N -3.9236 2.2537 -4.1091
C -3.7121 3.4504 -3.5457
C -3.0614 3.5859 -2.2918
H -2.2606 2.6364 -0.5861
H -2.7410 0.3279 -1.5298
H -3.8309 0.2478 -3.7958
H -4.0196 4.3138 -4.0357
H -2.9085 4.6267 -2.0337
C -0.6155 -4.0056 3.9428
C 0.5894 -3.3902 4.2822
C 0.5430 -1.9987 4.5541
N -0.5451 -1.2317 4.3690
C -1.6522 -1.8236 4.0383
C -1.7067 -3.1990 3.7716
H -0.6351 -5.1051 3.7554
H 1.5172 -3.9447 4.4460
H 1.3562 -1.4039 5.0098
H -2.5561 -1.1952 3.9602
H -2.6258 -3.6849 3.4889
C -4.2551 1.8595 4.1012
C -4.7735 1.8897 2.8128
C -3.8413 1.8241 1.7694
N -2.5045 1.7090 1.9141
C -2.0755 1.6052 3.1405
C -2.9067 1.6568 4.2694
H -4.8458 2.0606 4.9799
H -5.8373 1.9396 2.5167
H -4.1246 1.9730 0.6872
H -1.0257 1.5556 3.2800
H -2.4963 1.6265 5.2584
C 2.6379 -5.1518 -1.7448
C 2.7401 -4.8758 -0.3753
C 1.5159 -4.5524 0.3101
N 0.3408 -4.4631 -0.3146
C 0.3000 -4.7481 -1.6320
C 1.4273 -5.0700 -2.3917
H 3.5515 -5.3685 -2.3408
H 3.6972 -4.8724 0.1901
H 1.5132 -4.3694 1.3591
H -0.6787 -4.5644 -2.0730
H 1.4344 -5.2309 -3.4562
C 4.6581 -1.3011 4.1950
C 4.7038 -2.5793 4.7583
C 4.7060 -3.7075 3.9145
N 4.5519 -3.5698 2.6289
C 4.3482 -2.3616 2.0569
C 4.4372 -1.1976 2.8232
H 4.6882 -0.4268 4.8304
H 5.0284 -2.7303 5.8112
H 4.8807 -4.7317 4.2775
H 4.1033 -2.4087 1.0390
H 4.1864 -0.2651 2.3678
C -1.4575 5.0159 1.2010
C -0.3372 4.7489 0.4902
C -0.0901 5.5243 -0.6487
N -0.9522 6.4828 -1.0829
C -1.9863 6.7819 -0.3409
C -2.3243 6.0863 0.8432
H -1.6500 4.3119 2.0001
H 0.3484 3.9248 0.6807
H 0.7773 5.3893 -1.2271
H -2.6110 7.5829 -0.7334
H -3.2402 6.2900 1.4273
C 5.6206 1.6752 0.4115
C 4.5103 2.1253 -0.3450
C 4.0029 3.3630 -0.0344
N 4.3443 4.1907 0.8979
C 5.5112 3.8677 1.5368
C 6.1524 2.6358 1.3282
H 6.0288 0.6990 0.3195
H 4.0054 1.5148 -1.1144
H 3.1340 3.7400 -0.6007
H 5.8744 4.6125 2.2261
H 7.0473 2.2926 1.8755
C -0.0430 -1.3274 -2.9557
C -0.5896 -1.3720 -4.3957
C -1.5797 -2.4305 -4.8929
O -0.1539 -0.5650 -5.1621
H 0.5481 -2.2415 -2.7991
H -0.8778 -1.3447 -2.1761
H 0.6302 -0.5020 -2.9774
H -2.5224 -1.9502 -5.1299
H -1.7623 -3.2785 -4.2426
H -1.3042 -2.8657 -5.8676
C 2.3762 1.7882 -5.0288
C 1.8580 2.4678 -3.8207
C 0.3864 2.8009 -3.8564
O 2.5438 2.4826 -2.8210
H 1.9272 0.8322 -5.3226
H 3.4397 1.6692 -5.0068
H 2.2830 2.5402 -5.8713
H -0.1371 1.8401 -3.9915
H 0.1176 3.3946 -4.7115
H 0.0543 3.2578 -2.8969
C 0.0314 -1.0508 1.1763
C 1.1317 -0.4840 0.2677
C 1.0152 0.9513 -0.1589
O 2.1260 -1.1187 -0.0953
H -0.9586 -0.9284 0.6921
H -0.0232 -0.5113 2.1021
H 0.1023 -2.1215 1.3764
H 0.2888 0.9351 -0.9841
H 1.8962 1.3936 -0.5581
+++

Over the years, a series of petitions were filed against gender segregation. In August 2019, for example, Israel’s High Court overturned a lower court ruling that had allowed the Afula municipality to hold a concert geared for the ultra-Orthodox community with separate seating for men and women, upsetting religious lawmakers.

“The court said no to the fundamental rights of the haredi public,” said Eliezer Ruddin, who represented ultra-Orthodox Shas party MK Moshe Arbel. “The court perpetuates secular extremism and interference with values ​​that are important to minority communities.”

Former attorney-general Avichai Mandelblit had submitted a summary of guidelines and conditions according to which local authorities could hold a public event with gender segregation, among them a situation where mixed seating would prevent a certain public from participating. Another condition is that the segregation must be voluntary rather than forced.

Former deputy attorney-general Dina Zilber, together with feminist lobby groups and others, had fought against gender segregation.

“While in Iran brave women are fighting for their rights, in Israel Smotrich and his chardalim (ultra-Orthodox nationalists) are trying to send women behind the barriers and put into law the separation between women and men,” Prime Minister Yair Lapid commented.

“Where is Likud? Why are they silent? Iran is not here,” he added.
